Restate only the lines further below with the word "Cd" in them.
Nd12TlCd3: simulated PXRD pattern (a wavelength of 1.5418 Å), based on a DFT-relaxed cell (PBE, Alexandria).
Kinematic intensities with the Lorentz-polarization factor, no thermal factor.

Top 10 peaks for 2θ from 15° to 90°, sorted by position:
- 2θ 31.1, rel. 1000
- 2θ 36.0, rel. 338
- 2θ 36.1, rel. 167
- 2θ 51.8, rel. 119
- 2θ 51.9, rel. 236
- 2θ 61.6, rel. 280
- 2θ 61.8, rel. 139
- 2θ 64.8, rel. 120
- 2θ 84.8, rel. 116
- 2θ 87.4, rel. 109

```
Nd12TlCd3
1.0
4.9933 0.0000 0.0000
0.0000 4.9933 0.0000
0.0000 0.0000 19.8952
Nd Tl Cd
12 1 3
direct
0.0000 0.0000 0.0000
0.0000 0.0000 0.2494
0.0000 0.0000 0.5000
0.0000 0.0000 0.7506
0.0000 0.5000 0.1248
0.0000 0.5000 0.3746
0.0000 0.5000 0.6254
0.0000 0.5000 0.8752
0.5000 0.0000 0.1248
0.5000 0.0000 0.3746
0.5000 0.0000 0.6254
0.5000 0.0000 0.8752
0.5000 0.5000 0.5000
0.5000 0.5000 0.0000
0.5000 0.5000 0.2496
0.5000 0.5000 0.7504
```
Nd Tl Cd